CS 1010: Introduction to Information Technology

Fall 2020 - CS 1010 Policies

Feedback: CS 1010 is intended to be a positive learning experience. Emails and/or meetings to discuss what is working well or what needs improvement are welcomed.

Professionalism: Students and staff are all expected to treat each other with respect.

Announcements: Please check email or visit Collab to view class announcements.

Honor Policy: As a University of Virginia student enrolled in CS 1010 you agree you understand and agree to act in accordance with these principles:
Collaboration that enriches understanding of course concepts and lecture material is authorized. Sharing specifics or totality of tests, or assignment answers or solutions, is not authorized collaboration and is a violation of honor. Assignments are individual efforts, not group projects. Each student is responsible for authoring their own assignment/test solutions and responses. Authoring means original or thoughtful creation. Copying, tweaking, or using work of others including online sources specifically targeted to solving a CS 1010 assignment, then submitting this work for credit is a violation of honor. The assignment/test you submit for credit is the product of your own understanding, knowledge and skills. You must understand and be able to explain why you answered a question or created a solution the way you did. Given the same question or problem, you should be able to reconstruct your original answer or solution from memory, without outside assistance. Unless otherwise noted, individual assignments are pledged that you neither gave nor received unauthorized help. Unauthorized help is help from someone other than the CS 1010 teaching assistants or professor, or help that does not adhere to collaboration as described in this paragraph and the "Getting help" paragraph. When there is doubt regarding the honor of an action, you should ask before you act. An academic irregularity on any assignment will result in assignment grade reduction or zero and/or final course grade penalty, including course failure and/or Honor Committee involvement.

-- These data records were left in the page by mistake --
┌──
[1]
C22H29NO6S | ωB97M-V/def2-TZVPD

XYZ file:
```
59
Properties=species:S:1:pos:R:3:nbo_charge:R:1
C -1.21 0.00 3.56 -0.6408
C -1.55 -1.20 2.69 -0.0583
H -1.85 -0.88 1.69 0.1809
H -2.38 -1.77 3.14 0.1806
O -0.48 -2.13 2.62 -0.5171
C 0.56 -1.81 1.78 0.2276
C 1.81 -1.57 2.32 -0.2166
C 2.91 -1.35 1.51 -0.2170
C 2.77 -1.37 0.13 -0.0064
C 1.52 -1.61 -0.42 -0.3163
C 0.40 -1.82 0.38 0.3341
O -0.86 -2.06 -0.09 -0.5199
C -1.03 -2.48 -1.43 -0.0567
C -0.49 -3.88 -1.68 -0.6398
H -0.96 -4.59 -1.00 0.2175
H -0.70 -4.18 -2.71 0.2119
H 0.58 -3.91 -1.52 0.2167
H -2.12 -2.47 -1.57 0.1869
H -0.59 -1.76 -2.12 0.1652
H 1.42 -1.62 -1.49 0.2107
C 3.96 -1.18 -0.77 -0.4230
H 4.13 -2.09 -1.35 0.2187
H 4.85 -1.02 -0.15 0.2023
C 3.81 -0.01 -1.74 -0.2183
N 3.60 1.25 -1.07 -0.6071
C 2.48 1.98 -1.25 0.7190
O 1.61 1.68 -2.06 -0.6717
C 2.44 3.29 -0.47 -0.5063
C 1.00 3.63 -0.15 -0.6340
H 0.89 4.59 0.34 0.2502
H 0.38 3.57 -1.04 0.2565
S 0.40 2.36 1.03 2.1659
O 1.33 1.26 1.01 -0.9498
O 0.19 3.01 2.30 -0.9552
C -1.18 1.82 0.40 -0.3805
C -1.23 1.12 -0.79 -0.1562
C -2.45 0.69 -1.29 -0.3282
C -3.62 0.96 -0.58 0.4051
C -3.56 1.68 0.62 -0.2901
C -2.34 2.11 1.10 -0.1563
H -2.26 2.67 2.02 0.2472
H -4.47 1.89 1.14 0.2294
O -4.86 0.58 -0.97 -0.5028
C -5.01 -0.17 -2.15 -0.2539
H -4.67 0.38 -3.03 0.1784
H -4.47 -1.12 -2.08 0.1764
H -6.07 -0.37 -2.24 0.2040
H -2.48 0.16 -2.22 0.2226
H -0.31 0.92 -1.32 0.2642
H 3.02 3.20 0.45 0.2270
H 2.88 4.07 -1.10 0.2429
H 4.19 1.46 -0.29 0.3954
H 2.95 -0.16 -2.40 0.2292
H 4.71 0.06 -2.36 0.1927
H 3.87 -1.17 1.95 0.2035
H 1.91 -1.56 3.39 0.2232
H -0.88 -0.33 4.54 0.2088
H -2.08 0.64 3.67 0.2074
H -0.40 0.58 3.11 0.2200
```

E_HOMO in eV: -7.962
Gap between HOMO and LUMO in eV: 8.56
Energy above the lowest of the compared OMol25 structures with the same formula, charge and spin in kcal/mol: 0.0
SMILES: CCOc1ccc(CCNC(=O)CCS(=O)(=O)c2ccc(OC)cc2)cc1OCC
Total charge: 0
Largest force on an atom in eV Å⁻¹: 0.71
Spin multiplicity: 1


[2]
C3H7N3OS | ωB97M-V/def2-TZVPD

XYZ file:
```
15
Properties=species:S:1:pos:R:3:nbo_charge:R:1
C 1.77 1.03 0.27 -0.7194
C 0.40 0.58 -0.10 0.5353
C -1.15 -1.84 -0.66 0.2423
H 1.86 2.12 0.41 0.2494
H 2.00 0.62 1.29 0.2465
H 2.57 0.63 -0.43 0.2502
H -1.59 -0.03 -1.40 0.3801
H -2.22 -2.16 -0.64 0.1865
H 0.66 -2.10 -0.21 0.3310
H -2.04 1.89 1.80 0.1136
N -0.88 -0.75 -1.50 -0.3227
N -0.26 -2.54 -0.03 -0.6600
N -0.71 0.88 0.49 -0.6560
O 0.37 -0.16 -1.25 -0.3539
S -0.77 1.83 1.96 0.1771
```

E_HOMO in eV: -9.033
Gap between HOMO and LUMO in eV: 9.78
Energy above the lowest of the compared OMol25 structures with the same formula, charge and spin in kcal/mol: 76.5
SMILES: [H]/N=C\NO/C(C)=N/S
Total charge: 0
Largest force on an atom in eV Å⁻¹: 2.28
Spin multiplicity: 1


[3]
C3H4N2S | ωB97M-V/def2-TZVPD

XYZ file:
```
10
Properties=species:S:1:pos:R:3:nbo_charge:R:1
C 1.47 0.59 0.06 -0.0985
C 2.59 0.09 0.21 -0.3371
C -1.48 0.47 -0.23 -0.4809
N -0.20 -1.35 0.45 -0.2260
N -0.29 -0.13 0.11 0.0303
S 4.15 0.14 -0.08 0.0795
H -1.98 0.87 0.64 0.2510
└──

Assignment Submission and Regrade Requests: All assignments will be submitted through Collab. Be sure to verify that your submission is received by Collab. You will receive and email when you have submitted an assignment. Also the assignment list status will say: Submitted (date and time). The assignment must complete submission by the due time. Assignments that complete submission after the due time (Sunday 11:55:00 PM) are not accepted by Collab and receive zero points. Students have three days from the time of assignment grade posting (usually Wednesday morning) to request an assignment regrade. An assignment regrade request must be emailed to the professor specifically stating how the assignment was incorrectly graded. The regraded assignment score might be higher than, lower than, or the same as, the original assignment score.

Class Attendance: Please make your best effort to attend lecture. Please do not routinely arrive to lecture late or leave early, it is distracting.

Final Grade Rounding: Final grades are not automatically rounded up.